Listing
No. 1
# MoC3S2Cl7O
Theoretical X-ray diffraction stick pattern, CuKα. Input: a DFT-relaxed cell (GGA+U, the Materials Project).
Peak positions follow from Bragg's law for the DFT cell and can differ from measured ones.

Cell and atoms:
```
28
Lattice="8.379 0.000 0.000 0.000 10.331 0.000 -2.729 0.000 8.577" Properties=species:S:1:pos:R:3 pbc="T T T"
Mo 0.000 2.385 0.000
Mo -1.364 7.946 4.289
C 2.216 2.344 4.068
C 0.851 7.987 8.357
C 2.933 3.460 3.615
C 1.569 6.871 7.904
C 4.231 3.176 3.170
C 2.867 7.155 7.458
S 2.983 0.823 3.966
S 1.618 9.508 8.255
S 4.736 1.549 3.204
S 3.371 8.783 7.492
Cl -0.284 0.487 1.400
Cl -1.649 9.844 5.688
Cl 0.675 2.409 4.729
Cl 2.039 7.922 0.440
Cl 2.339 1.956 0.111
Cl 0.974 8.375 4.400
Cl 2.285 5.027 3.617
Cl 0.921 5.304 7.906
Cl 3.465 1.847 7.719
Cl 4.829 8.484 3.430
Cl 5.330 4.329 2.636
Cl 3.965 6.002 6.925
Cl 6.073 3.298 6.418
Cl 7.437 7.033 2.129
O -0.230 3.718 1.020
O -1.594 6.613 5.309
```

Principal peaks in the range 2θ from 10° to 80°, in order of rising 2θ:
2θ = 13.4°, d 6.599, I 29; 2θ = 15.3°, d 5.793, I 100; 2θ = 17.2°, d 5.166, I 41; 2θ = 19.3°, d 4.588, I 99; 2θ = 20.5°, d 4.337, I 29; 2θ = 20.7°, d 4.289, I 46; 2θ = 26.4°, d 3.376, I 55; 2θ = 26.7°, d 3.337, I 42; 2θ = 33.7°, d 2.661, I 29; 2θ = 43.9°, d 2.063, I 29



No. 2
# Ni2C5Cl4O2
Theoretical X-ray diffraction stick pattern, CuKα. Input: a DFT-relaxed cell (GGA+U, the Materials Project).
Peak positions follow from Bragg's law for the DFT cell and can differ from measured ones.

Cell and atoms:
```
52
Lattice="7.460 0.000 0.000 -2.550 10.550 0.000 -0.094 -0.297 14.509" Properties=species:S:1:pos:R:3 pbc="T T T"
Ni 0.080 2.094 7.036
Ni -1.085 7.191 1.279
Ni 0.605 4.057 0.006
Ni -0.596 9.488 7.903
Ni 5.412 0.765 6.606
Ni 4.210 6.196 14.503
Ni 5.901 3.063 13.230
Ni 4.736 8.159 7.473
C -1.547 9.109 6.225
C -0.263 4.517 12.882
C 0.267 2.435 13.118
C -0.870 7.591 7.613
C -0.816 7.906 6.223
C 0.438 3.510 12.194
C 0.820 3.181 5.813
C -0.277 8.788 1.151
C 1.249 2.958 1.277
C 0.388 9.356 9.404
C 4.428 0.898 5.105
C 3.567 7.295 13.232
C 5.093 1.466 13.358
C 3.996 7.072 8.696
C 4.378 6.744 2.315
C 5.632 2.347 8.286
C 5.686 2.662 6.896
C 4.549 7.818 1.391
C 5.079 5.736 1.627
C 6.362 1.145 8.285
Cl -1.858 10.043 4.828
Cl -0.443 6.119 12.312
Cl 0.962 0.876 12.907
Cl -0.127 6.213 8.320
Cl -0.071 7.062 4.925
Cl 1.251 3.537 10.683
Cl 0.789 5.954 1.208
Cl 2.022 1.181 7.720
Cl 2.794 9.072 6.789
Cl 4.027 4.300 13.301
Cl 3.565 6.716 3.826
Cl 4.887 3.191 9.584
Cl 4.943 4.041 6.189
Cl 3.854 9.378 1.602
Cl 5.259 4.134 2.197
Cl 6.674 0.211 9.681
O 1.597 2.226 2.090
O 1.315 3.854 5.024
O 0.235 9.815 1.111
O 1.039 9.243 10.344
O 3.777 1.011 4.165
O 4.581 0.438 13.398
O 3.501 6.400 9.485
O 3.218 8.028 12.419
```

Principal peaks in the range 2θ from 10° to 80°, in order of rising 2θ:
2θ = 10.3°, d 8.616, I 90; 2θ = 10.5°, d 8.450, I 18; 2θ = 12.2°, d 7.253, I 100; 2θ = 15.0°, d 5.921, I 10; 2θ = 17.4°, d 5.101, I 15; 2θ = 24.5°, d 3.627, I 22; 2θ = 26.1°, d 3.411, I 11; 2θ = 26.2°, d 3.399, I 15; 2θ = 27.4°, d 3.258, I 16; 2θ = 27.6°, d 3.230, I 10



No. 3
# Li12Cr3CoP4C4O28
Theoretical X-ray diffraction stick pattern, CuKα. Input: a DFT-relaxed cell (GGA+U, the Materials Project).
Peak positions follow from Bragg's law for the DFT cell and can differ from measured ones.

Cell and atoms:
```
52
Lattice="8.630 0.000 0.000 0.000 6.465 0.000 -0.787 0.000 9.971" Properties=species:S:1:pos:R:3 pbc="T T T"
Li 0.000 0.000 0.000
Li -0.389 0.000 4.993
Li 0.884 1.461 7.535
Li 0.884 5.004 7.535
Li 1.277 1.454 2.573
Li 1.277 5.011 2.573
Li 4.984 1.769 5.087
Li 4.984 4.697 5.087
Li 5.385 1.773 0.103
Li 5.385 4.693 0.103
Li 6.255 3.233 7.632
Li 6.703 3.233 2.675
Cr 1.220 3.233 9.869
Cr 4.246 0.000 7.738
Cr 4.650 0.000 2.778
Co 1.604 3.233 4.849
P 2.652 0.000 0.235

Assignment
What is needed: filter the material earlier on: keep the lines with the word "Li12Cr3CoP4C4O28".

Written answer
# Li12Cr3CoP4C4O28